Wednesday, May 5, 2010

The Draft

When the thoughts of a "draft" come to mind, the mind often thinks of that old window where the seal is cracked. Perhaps you might think of the door that no longer tightly closes. For me, the word "draft" use to relate to the old farm house I lived in. The Lake Champlain Islands boasted a wonderland of rural pastures, rolling dirt roads, apple orchards, vineyards, and small town charm. The Champlain islands were also my home, and I resided in an 1890 farm house.

____________
This entry pairs a crystal structure of Cd11InHg17 with its theoretical powder XRD pattern. Radiation: Cu Kα (weighted mean of Kα1 and Kα2). Structure: DFT lattice parameters and positions (PBE).
Lines closer than 0.1° are merged.

Atomic structure:
a = 11.453 Å, b = 16.927 Å, c = 8.897 Å
α = 90.00°, β = 121.48°, γ = 90.00°
Space group Cm (No. 8)
Symmetry-distinct sites (fractional):
1 Cd 0.000 0.000 0.000
2 Cd 0.065 0.383 0.628
3 Cd 0.173 0.094 0.896
4 Cd 0.177 0.273 0.452
5 Cd 0.228 0.407 0.265
6 Cd 0.449 0.189 0.082
7 In 0.222 0.000 0.418
8 Hg 0.015 0.000 0.537
9 Hg 0.160 0.288 0.958
10 Hg 0.205 0.500 0.940
11 Hg 0.271 0.500 0.600
12 Hg 0.286 0.166 0.273
13 Hg 0.326 0.133 0.696
14 Hg 0.385 0.332 0.823
15 Hg 0.445 0.000 0.314
16 Hg 0.451 0.000 0.980
17 Hg 0.475 0.369 0.217
18 Hg 0.488 0.304 0.558

Peak list (6 most intense, 10 to 90 degrees two-theta, most intense first)
Position (°2θ)  d (Å)  I_rel  (hkl)
32.2  2.784  100  1 5 1
31.7  2.823  93  0 4 2
36.8  2.442  39  2 0 2
33.4  2.685  34  1 5 -2
35.4  2.539  33  3 3 -3
35.5  2.530  33  0 0 3
____________

The islands are also home to "breezes", or in my language.. "wind gusts".

The Islands are situated in the middle of Lake Champlain. The waters to the right are towards the Vermont shores with phenomenal views of the Green Mountains. The waters to the left lapped up to Upper State New York shores. The little islands are nestled in the middle of two mountain ranges.. thus the "draft" that was felt while making breakfast in my kitchen, sitting in my living room, laying in bed... or just walking through the house....

"Draft" became a funny word that just meant "normalcy" while living in this beautiful old five bedroom farm house... It also meant... "Crap, here is another heating bill...".

As one who adores cycling, I have loved riding Vermont roads. The terrain is far from flat, and each turn provides a challenge. Over the last year and a half, I have had the joy of rekindling with my high school sweet heart. He is a six foot five mountain biker (gone road biker) from Colorado. He effortlessly pedals at high speeds, and "hill climbs" are far too easy. He resembles Kermit the frog from behind while cycling, (A hot Kermie).

Today, I had the joy of "drafting" Kermit, a new thing I have learned to not be afraid of while cycling. You know the feeling when your car gets in the "draft" of a tractor trailer truck? My little Toyota gets sucked right in...

Well, the same draft happens when a 120 pound woman on a carbon fiber bike rides behind a 205 pound man that is 6 foot five. I enjoy drafting, the feeling that my legs get when I fall behind at close proximity to his wheel and get sucked uphill.

Upon finishing a road ride today, we got off our bikes and he asked how I liked it.. to which I replied.. "drafts rock"...

I know longer live in that old 1890 farm house.. and I hope I never know the word "draft" on quite that same level... For now, I am pretty happy for the "draft" of My Kermie.

1 comment:

  1. Girl, you have SUCH a GREAT way with words, and I thoroughly enjoyed reading this. And I can soooooo see Kermie in front of you while you were bike drafting... LOL that's sooooo cool!

    Anyhow, I had no clue you had this blog, and now that I know, I'll be checking it out for sure!

    Big hugs, love & prayers, sweet, pretty lady!
